The ZIIP Guide to Menopausal Skin Concerns

The ZIIP Guide to Menopausal Skin Concerns

### Between two parts of the entry: records of crystals
-- begin --
Here is a relaxed structure of CsPa4O10 from the Alexandria database. Energies are from PBE-GGA.

a = 3.8496 Å, b = 3.8496 Å, c = 30.6570 Å
α = 90.00°, β = 90.00°, γ = 90.00°
Space group I4/mmm (No. 139)
Symmetry-distinct sites (fractional):
Cs 0.0000 0.0000 0.0000 x2
Pa 0.0000 0.0000 0.2038 x4
Pa 0.0000 0.0000 0.3906 x4
O 0.0000 0.5000 0.0775 x8
O 0.0000 0.5000 0.1634 x8
O 0.0000 0.5000 0.2500 x4

Values from the calculation:
Uncorrected formation energy = -3.397 eV/atom
Total moment = 1.10 μB/f.u.

Here is a relaxed structure of Cs3PaPb2O6 from the Alexandria database. Energies are from PBE-GGA.

a = 6.4596 Å, b = 6.4596 Å, c = 7.9738 Å
α = 90.00°, β = 90.00°, γ = 120.00°
Space group P-3m1 (No. 164)
Symmetry-distinct sites (fractional):
Cs 0.0000 0.0000 0.0000 x1
Cs 0.3333 0.6667 0.6632 x2
Pa 0.0000 0.0000 0.5000 x1
Pb 0.3333 0.6667 0.2039 x2
O 0.1608 0.3215 0.3408 x6

Values from the calculation:
Uncorrected formation energy = -2.027 eV/atom
Total moment = 0.00 μB/f.u.

Here is a relaxed structure of Cs2PaPb2O6 from the Alexandria database. Energies are from PBE-GGA.

a = 6.4537 Å, b = 6.4537 Å, c = 24.3023 Å
α = 90.00°, β = 90.00°, γ = 120.00°
Space group R-3m (No. 166, hexagonal axes)
Symmetry-distinct sites (fractional):
Cs 0.0000 0.0000 0.2283 x6
Pa 0.0000 0.0000 0.5000 x3
Pb 0.0000 0.0000 0.0741 x6
O 0.0091 0.5045 0.2161 x18

Values from the calculation:
Uncorrected formation energy = -1.945 eV/atom
Total moment = 0.00 μB/f.u.

Here is a relaxed structure of CsPaPbO4 from the Alexandria database. Energies are from PBE-GGA.

a = 7.2440 Å, b = 7.8938 Å, c = 10.6602 Å
α = 90.00°, β = 90.00°, γ = 90.00°
Space group Imma (No. 74)
Symmetry-distinct sites (fractional):
Cs 0.0000 0.2500 0.1322 x4
Pa 0.2500 0.2500 0.7500 x4
Pb 0.0000 0.0000 0.5000 x4
O 0.0000 0.0762 0.7444 x8
O 0.2250 0.2500 0.5540 x8

Values from the calculation:
Uncorrected formation energy = -2.437 eV/atom
Total moment = 0.00 μB/f.u.

Here is a relaxed structure of Cs2PaPbO6 from the Alexandria database. Energies are from PBE-GGA.

a = 8.8847 Å, b = 8.8847 Å, c = 8.8847 Å
α = 90.00°, β = 90.00°, γ = 90.00°
Space group Fm-3m (No. 225)
Symmetry-distinct sites (fractional):
Cs 0.2500 0.2500 0.2500 x8
Pa 0.0000 0.0000 0.0000 x4
Pb 0.0000 0.0000 0.5000 x4
O 0.0000 0.0000 0.2444 x24

Values from the calculation:
Uncorrected formation energy = -1.941 eV/atom
Total moment = 1.02 μB/f.u.

Here is a relaxed structure of CsPa2PbO7 from the Alexandria database. Energies are from PBE-GGA.

a = 4.3896 Å, b = 4.3896 Å, c = 10.7318 Å
α = 90.00°, β = 90.00°, γ = 90.00°
Space group P4/mmm (No. 123)
Symmetry-distinct sites (fractional):
Cs 0.0000 0.0000 0.0000 x1
Pa 0.5000 0.5000 0.2975 x2
Pb 0.0000 0.0000 0.5000 x1
O 0.0000 0.5000 0.3257 x4
O 0.5000 0.5000 0.1090 x2
O 0.5000 0.5000 0.5000 x1

Values from the calculation:
Uncorrected formation energy = -2.637 eV/atom
Total moment = 0.98 μB/f.u.

Here is a relaxed structure of CsPaPb2O6 from the Alexandria database. Energies are from PBE-GGA.
-- stop --

Learn how to treat the new and frustrating skin concerns that come with the gift of aging as we explore menopause skin care.

As we age, our bodies change and one of the significant changes that we go through is menopause. As we change both physically and mentally throughout this time, our skin also changes. 

Menopausal skin care is a whole new world to explore, and ZIIP Beauty is energized and ready to take on the challenge. 

What Menopausal Skin Changes Can I Expect?

Expectedly, as everything seems to, we can expect our skin to undergo a myriad of changes as we enter the menopause phase of our lives. 

Let’s explore the differences you may see in your skin…

1.Menopause and Dry Skin

As our bodies enter menopause, estrogen production slows rapidly. Estrogen production is typically responsible for stimulating the production of collagen and oils within the skin. 

As this slows, the impact that we often experience is our skin feeling drier than normal, due to the reduced oils. This can often lead to ‘menopause itching’ when our skin feels itchy and irritated in places. 

As our hormones change with menopause, this also affects our bodies abilities to retain and hold moisture, contributing to the dryness of the skin. 

Dry skin after menopause is something that can affect the whole body, not just facial skin. 

2. Sun Damage and Age Spots

If you’ve previously spent significant amounts of time in the sun during your youth, it is your menopausal skin that will truly reveal the effects of this. 

You will likely notice the development of age spots or areas of hyperpigmentation. 

This is also a period of your life where you may want to keep a close eye on any skin changes that may be indicative of skin cancer, as this becomes more prevalent in older age. 

3. Acne and Menopause

Between two parts of the page: records of crystals =
=====
1.
Entry from the Alexandria database: Ce2Y6Ho3Th after structural relaxation (PBE-GGA).

a = 6.144 Å, b = 6.144 Å, c = 11.748 Å
α = 95.01°, β = 95.01°, γ = 119.98°
Fractional coordinates of all 12 atoms:
Ce 0.167 0.833 0.000
Ce 0.833 0.167 0.000
Y 0.085 0.417 0.752
Y 0.251 0.251 0.248
Y 0.417 0.085 0.752
Y 0.583 0.915 0.248
Y 0.749 0.749 0.752
Y 0.915 0.583 0.248
Ho 0.000 0.000 0.500
Ho 0.333 0.667 0.500
Ho 0.667 0.333 0.500
Th 0.500 0.500 0.000

Calculated values
**Symmetry**: C2/m (12)
**Formation enthalpy at 0 K**: 0.59 eV/f.u.
**Magnetization**: 1.37 μB per formula unit

=====

2.
Entry from the Alexandria database: Ce2Y3Ho6Th after structural relaxation (PBE-GGA).

a = 6.119 Å, b = 6.119 Å, c = 11.701 Å
α = 95.01°, β = 95.01°, γ = 119.99°
Fractional coordinates of all 12 atoms:
Ce 0.167 0.833 0.000
Ce 0.833 0.167 0.000
Y 0.000 0.000 0.500
Y 0.333 0.667 0.500
Y 0.667 0.333 0.500
Ho 0.085 0.417 0.754
Ho 0.251 0.251 0.246
Ho 0.417 0.085 0.754
Ho 0.583 0.915 0.246
Ho 0.749 0.749 0.754
Ho 0.915 0.583 0.246
Th 0.500 0.500 0.000

Calculated values
**Symmetry**: C2/m (12)
**Formation enthalpy at 0 K**: 0.52 eV/f.u.
**Magnetization**: 1.21 μB per formula unit

=====

3.
Entry from the Alexandria database: CeHoThZn after structural relaxation (PBE-GGA).

a = 5.248 Å, b = 5.248 Å, c = 5.248 Å
α = 60.00°, β = 60.00°, γ = 60.00°
Fractional coordinates of all 4 atoms:
Ce 0.000 0.000 0.000
Ho 0.750 0.750 0.750
Th 0.250 0.250 0.250
Zn 0.500 0.500 0.500

Calculated values
**Symmetry**: F-43m (216)
**Formation enthalpy at 0 K**: 0.45 eV/f.u.
**Magnetization**: 0.00 μB per formula unit

=====

4.
Entry from the Alexandria database: CeHoTi after structural relaxation (PBE-GGA).

a = 3.488 Å, b = 3.473 Å, c = 12.498 Å
α = 90.00°, β = 90.01°, γ = 90.00°
Fractional coordinates of all 6 atoms:
Ce 0.249 0.250 0.294
Ce 0.751 0.750 0.706
Ho 0.251 0.250 0.895
Ho 0.749 0.750 0.105
Ti 0.250 0.250 0.556
Ti 0.750 0.750 0.444

Calculated values
**Symmetry**: P2_1/m (11)
**Formation enthalpy at 0 K**: 0.45 eV/f.u.
**Magnetization**: 0.00 μB per formula unit

=====

5.
Entry from the Alexandria database: CeHo5Tl4 after structural relaxation (PBE-GGA).

a = 3.556 Å, b = 3.556 Å, c = 21.818 Å
α = 90.00°, β = 90.00°, γ = 90.00°
Fractional coordinates of all 10 atoms:
Ce 0.000 0.000 0.000
Ho 0.500 0.500 0.110
Ho 0.500 0.500 0.305
Ho 0.500 0.500 0.500
Ho 0.500 0.500 0.695
Ho 0.500 0.500 0.890
Tl 0.000 0.000 0.206
Tl 0.000 0.000 0.402
Tl 0.000 0.000 0.598
Tl 0.000 0.000 0.794

Calculated values
**Symmetry**: P4/mmm (123)
**Formation enthalpy at 0 K**: -2.55 eV/f.u.
**Polymorph energy (0 for the lowest one)**: 0 meV/atom
**Magnetization**: 0.07 μB per formula unit

=====

6.
Entry from the Alexandria database: Ce2HoTl4 after structural relaxation (PBE-GGA).

a = 6.608 Å, b = 6.608 Å, c = 6.608 Å
α = 110.20°, β = 110.20°, γ = 108.01°
Fractional coordinates of all 7 atoms:
Ce 0.000 0.500 0.500
Ce 0.500 0.000 0.500
Ho 0.000 0.000 0.000
Tl 0.000 0.000 0.500
Tl 0.000 0.500 0.000
=====

Whilst we commonly associate acne and pimples with puberty, and hope that we age out of them eventually, unfortunately, they can also make a reappearance into our lives during menopause. 

As our hormones shift, and our estrogen levels drop, our androgens levels may increase. This can trigger excess oil production, which when combined with dead skin cells sitting stagnantly, can lead to the development of acne as the pores become blocked. 

4. Menopausal Sagging Skin and Jowls

As expected with aging, another skin concern that we can also expect is probably the most common visual sign of aging- wrinkles and sagging skin. 

From the age of 25, collagen production begins to slow down. During menopause, our skin begins to rapidly lose collagen. 

Someone pasted data records at this point
+++
[1]
DFT (PBE-GGA) results for a relaxed structure of Rb2ZrTc.

Cell lengths 5.502, 5.502, 5.502 Å; angles 60.00, 60.00, 60.00 degrees
Atoms (fractional coordinates):
Rb 0.250 0.250 0.250
Rb 0.750 0.750 0.750
Zr 0.000 0.000 0.000
Tc 0.500 0.500 0.500

## Properties
Energy (eV/atom): -2.945
E_form (meV per atom): 2268
Density (g cm⁻³): 5.08
SG: Fm-3m (225)
Relative energy among the computed polymorphs (meV per atom): 1045

[2]
DFT (PBE-GGA) results for a relaxed structure of RbZr3Tc.

Cell lengths 4.921, 4.921, 4.921 Å; angles 90.00, 90.00, 90.00 degrees
Atoms (fractional coordinates):
Rb 0.000 0.000 0.000
Zr 0.000 0.000 0.500
Zr 0.000 0.500 0.000
Zr 0.500 0.000 0.000
Tc 0.500 0.500 0.500

## Properties
Energy (eV/atom): -4.977
E_form (meV per atom): 2418
Density (g cm⁻³): 6.37
SG: Pm-3m (221)
Relative energy among the computed polymorphs (meV per atom): 1747

[3]
DFT (PBE-GGA) results for a relaxed structure of RbZr3Tc.

Cell lengths 5.226, 5.226, 5.226 Å; angles 90.00, 90.00, 90.00 degrees
Atoms (fractional coordinates):
Rb 0.000 0.000 0.000
Zr 0.000 0.500 0.500
Zr 0.500 0.000 0.500
Zr 0.500 0.500 0.000
Tc 0.500 0.500 0.500

## Properties
Energy (eV/atom): -6.724
E_form (meV per atom): 671
Density (g cm⁻³): 5.32
SG: Pm-3m (221)
Relative energy among the computed polymorphs (meV per atom): 0

[4]
DFT (PBE-GGA) results for a relaxed structure of RbTe.

Cell lengths 9.538, 9.538, 9.538 Å; angles 109.47, 109.47, 109.47 degrees
Atoms (fractional coordinates):
Rb 0.000 0.000 0.619
Rb 0.000 0.619 0.000
Rb 0.381 0.381 0.381
Rb 0.619 0.000 0.000
Te 0.000 0.000 0.242
Te 0.000 0.242 0.000
Te 0.242 0.000 0.000
Te 0.758 0.758 0.758

## Properties
Energy (eV/atom): -2.398
Formation energy from raw total energies (eV/atom): -0.34
Density (g cm⁻³): 2.12
SG: I-43m (217)

[5]
DFT (PBE-GGA) results for a relaxed structure of RbTe.

Cell lengths 11.443, 4.358, 10.568 Å; angles 90.00, 90.00, 90.00 degrees
Atoms (fractional coordinates):
Rb 0.000 0.004 0.000
Rb 0.158 0.000 0.451
Rb 0.342 0.000 0.951
Rb 0.500 0.996 0.500
Rb 0.658 0.000 0.951
Rb 0.842 0.000 0.451
Te 0.000 0.501 0.696
Te 0.230 0.500 0.190
Te 0.270 0.500 0.690
Te 0.500 0.499 0.196
Te 0.730 0.500 0.690
Te 0.770 0.500 0.190

## Properties
Energy (eV/atom): -2.759
Formation energy from raw total energies (eV/atom): -0.70
Density (g cm⁻³): 4.03
SG: Pmn2_1 (31)

[6]
DFT (PBE-GGA) results for a relaxed structure of Rb2Te3.

Cell lengths 6.065, 13.497, 5.900 Å; angles 90.00, 111.16, 90.00 degrees
Atoms (fractional coordinates):
Rb 0.163 0.105 0.361
Rb 0.163 0.395 0.861
Rb 0.837 0.605 0.139
Rb 0.837 0.895 0.639
Te 0.367 0.718 0.563
Te 0.367 0.782 0.063
Te 0.500 0.000 0.000
Te 0.500 0.500 0.500
Te 0.633 0.218 0.937
Te 0.633 0.282 0.437

## Properties
Energy (eV/atom): -2.947
Formation energy from raw total energies (eV/atom): -0.68
Density (g cm⁻³): 4.08
SG: P2_1/c (14)

[7]
DFT (PBE-GGA) results for a relaxed structure of RbTe.

Cell lengths 6.752, 7.502, 14.139 Å; angles 90.00, 90.00, 90.00 degrees
+++

Throughout the first 5 years of the menopause, women lose around 30% of their collagen, which then becomes a loss of an estimated 2% per year over the next 20 years. 

This is what leads to the swallowed effect of the face, particularly around the cheek area, leading to the development of jowls. 

Using the ZIIP HALO During Menopause

Microcurrent facials have been rising in popularity in recent years for the numerous benefits that they can bring to all skincare needs with the ZIIP HALO being one of the most revered devices out there. 

However, it’s an oft-neglected point how beneficial they can be for people undergoing menopause. 

The ZIIP HALO, a Microcurrent and Nanocurrent tool, sparks the production of collagen, allowing you to combat the loss of collagen experienced during menopause. This works to prevent the sallow, sagging appearance typically associated with the loss of collagen. When used regularly, the ZIIP HALO supercharges the skin  to retain a full, fresh and plumped appearance to the skin. 

Not only does the ZIIP contribute to collagen production, it is also beneficial for evening out skin tone. The Microcurrent waves seek out unevenness, neutralizing any discolouration you may have from sun damage. 

For those sufferers of menopausal acne, you can also try the ‘problem solver’ routine through the ZIIP Beauty app. This routine has been specifically designed to treat blemishes gently, targeting sensitive areas and helping to clear the blemish in record time.

Other Menopausal Skincare Tips and Tricks

As always, there are tips and tricks available that can help you with your post-menopausal skin care, and many of them are quite simple fixes. 

1. SPF and Shielding From the Sun

Utilizing UV Protection any time you may be exposed to the sun is key in not only protecting against and possibly preventing skin cancer, it’s also excellent for preventing existing wrinkles from becoming more prominent and from developing new wrinkles.

2. Incorporate a New Cleanser Into Your Routine

Bringing a gentle cleanser into your routine that contains salicylic acid can be instrumental in keeping your pores clear and preventing the development of acne. It’s important not to be too harsh with your skin as it may be more reactive throughout menopause, so care is key. If acne is persistent, consult a dermatologist prior to trying harsher methods.

3. Moisturise, Moisturise, Moisturise

We cannot stress enough how important it is for you to keep your skin moisturized and hydrated during this time. We’ve already explored why your skin may seem drier during this time, so it’s important to keep that in mind.

Moisturizing after bathing or showering, and then throughout the day where possible will keep your skin happier and more hydrated than ever during this phase of your life. Plus, it’s always a great excuse to buy yet another floral-scented hand cream. 

Ultimately, going through the menopause is a big change in your life, and it’s natural that your skin, along with many other things, will undergo some adjustments. Take each day one at a time, and try to manage these changes carefully and calmly, and you’ll have your new skin routine under control in no time.